Quotes of the Day

Friday, Jun. 04, 2004

Open quote The U.S. script for Iraq's transition is clear. The new caretaker government will assume sovereign powers from the Coalition Provisional Authority on July 1, while U.S. troops remain to provide security. That government will spend much of its time preparing for elections to be held six months from now. That contest will produce a government with a one-year mandate to draw up a new constitution which will be put to the vote in a referendum in October 2005, and fresh elections will be held three months later for a permanent government — after which most U.S. troops will leave Iraq.

== Between two parts of the entry: calculated crystals ==
........
Record 1
Density functional theory data (PBE-GGA) for Ga3Pt after structural relaxation.

Values from the calculation:
Volume   67.9 Å³ per cell
Energy of formation   -0.165 eV/atom
Magnetic moment   0.00 μB per atom
Distance to the lowest polymorph of the same formula   0.0000 eV per atom

Lattice parameters (Å, degrees): 4.5787 4.5787 4.5787 60.00 60.00 60.00
Fractional positions:
Ga 0.2500 0.2500 0.2500
Ga 0.7500 0.7500 0.7500
Ga 0.5000 0.5000 0.5000
Pt 0.0000 0.0000 0.0000



Record 2
Density functional theory data (PBE-GGA) for Ga3Pt after structural relaxation.

Values from the calculation:
Volume   136.9 Å³ per cell
Energy of formation   -0.149 eV/atom
Magnetic moment   0.00 μB per atom
Distance to the lowest polymorph of the same formula   0.0162 eV per atom

Lattice parameters (Å, degrees): 5.9117 5.9117 4.5218 90.00 90.00 120.00
Fractional positions:
Ga 0.8295 0.1705 0.7500
Ga 0.3411 0.1705 0.7500
Ga 0.6589 0.8295 0.2500
Ga 0.1705 0.8295 0.2500
Ga 0.8295 0.6589 0.7500
Ga 0.1705 0.3411 0.2500
Pt 0.6667 0.3333 0.2500
Pt 0.3333 0.6667 0.7500



Record 3
Density functional theory data (PBE-GGA) for Ga2RuPt after structural relaxation.

Values from the calculation:
Volume   58.0 Å³ per cell
Energy of formation   -0.441 eV/atom
Magnetic moment   0.00 μB per atom

Lattice parameters (Å, degrees): 4.3459 4.3459 4.3459 60.00 60.00 60.00
Fractional positions:
Ru 0.0000 0.0000 0.0000
Ga 0.7500 0.7500 0.7500
Ga 0.2500 0.2500 0.2500
Pt 0.5000 0.5000 0.5000

* * * * *

(1)
# Pr2CBr r2SCAN optimized geometry
data_Pr2CBr
_chemical_formula_sum 'Pr4 C2 Br2'
_cell_length_a 3.8457
_cell_length_b 3.8457
_cell_length_c 14.9700
_cell_angle_alpha 90.00
_cell_angle_beta 90.00
_cell_angle_gamma 120.00
_space_group_name_H-M_alt 'P 63/m m c'
_space_group_IT_number 194
_space_group_name_Hall '-P 6c 2c'
loop_
_atom_site_label
_atom_site_type_symbol
_atom_site_fract_x
_atom_site_fract_y
_atom_site_fract_z
Pr1 Pr 0.3333 0.6667 0.0926
C1 C 0.0000 0.0000 0.0000
Br1 Br 0.3333 0.6667 0.7500
# Uncorrected energy (eV per atom): -21.581

=====

(2)
# K3Sb r2SCAN optimized geometry
data_K3Sb
_chemical_formula_sum 'K6 Sb2'
_cell_length_a 6.0735
_cell_length_b 6.0735
_cell_length_c 10.7776
_cell_angle_alpha 90.00
_cell_angle_beta 90.00
_cell_angle_gamma 120.00
_space_group_name_H-M_alt 'P 63/m m c'
_space_group_IT_number 194
_space_group_name_Hall '-P 6c 2c'
loop_
_atom_site_label
_atom_site_type_symbol
_atom_site_fract_x
_atom_site_fract_y
_atom_site_fract_z
K1 K 0.0000 0.0000 0.2500
K2 K 0.3333 0.6667 0.0822
Sb1 Sb 0.3333 0.6667 0.7500
# Energy above the most stable polymorph in this dataset (eV/atom): 0.000

=====

(3)
# P3Pb4O12 r2SCAN optimized geometry
data_P3Pb4O12
_chemical_formula_sum 'P12 Pb16 O48'
_cell_length_a 10.428
_cell_length_b 10.428
_cell_length_c 10.428
_cell_angle_alpha 90.00
_cell_angle_beta 90.00
_cell_angle_gamma 90.00
_space_group_name_H-M_alt 'I -4 3 d'
_space_group_IT_number 220
_space_group_name_Hall 'I -4bd 2c 3'
loop_
_atom_site_label
........

But various Iraqi factions have scripts of their own, often at odds with the U.S. narrative, and events of recent weeks suggest Washington's control over the project may be diminishing. The experience of Lakhdar Brahimi is instructive: The UN envoy lashed out bitterly on Thursday, saying that U.S. envoy Paul Bremer allowed him to be sidelined by the Iraqi Governing Council over the selection of the two key positions of President and Prime Minister. Brahimi had actually proposed dissolving the IGC and replacing it with a caretaker government headed by politically disinterested technocrats. Instead, the IGC appears to have had remarkable success in moulding the interim government in its own image, overruling (with U.S. support) Brahimi's pick for Prime Minister, and then turning on Washington to nix Bremer's (and Brahimi's) choice of president.

The IGC's success in defying Washington and Brahimi in the political process may be an echo of recent events on the military front, as the U.S. shifts focus toward an exit strategy. The tactical agreements reached with insurgents in Fallujah, Najaf and elsewhere reflect a recognition by U.S. commanders that the insurgencies are too deeply rooted in the Iraqi population to be defeated militarily; instead, they're being accommodated on the basis of a shifting set of rules. So, too, on the political front: Brahimi's proposal to eliminate the IGC floundered as the U.S. priority for a rapid transfer of sovereignty gave its members every incentive to stand up to the Americans in pursuit of their own interests.

The result of the IGC's dominant role in shaping the new government is that it may inherit many of the legitimacy problems that forced the U.S. to seek an alternative in the first place. Brahimi's first advice to the new government was to open negotiations with some of the insurgent groups with a view to giving them a stake in the political process. "I think it's a little bit too easy to call everybody a terrorist," he warned. "And I think that if you find there are people [among the those fighting the occupation] who are not terrorists who are respectable, genuine Iraqi patriots, you must find a way of talking to them."

Questions over the new government's legitimacy were raised even more forcefully by Grand Ayatollah Ali Sistani, the supreme Shiite religious authority who remains easily the most influential figure in Iraq. Sistani bemoaned the fact that the new government was appointed rather than elected, and stated that "it does not represent all slices of Iraqi society and all political forces in an appropriate way." The Interim Government could only gain popular acceptance, he said, if it achieved full sovereignty for Iraq from the get-go, "unconstrained in any regard, whether political, economic, military, or security-related," and "effaced all signs of occupation." It would also be judged on its ability to provide security and basic services to the citizenry, and most important, by the extent to which it makes "first-rate preparation for general elections, and [keeps] to the appointed date, which is at the beginning of the coming new year according to the Christian calendar, so that a national assembly can be formed that is not bound by any of the decisions issued in the shadow of the Occupation."

Sistani's script has the new government going to the UN to demand full control even over those aspects of security and economy that the U.S. had hoped to keep in U.S. or international hands, and then just as quickly moving to make itself redundant by holding national elections. The Interim Government is moving to pursue the first objective, with its foreign minister, Hoyshar Zebari, currently in New York negotiating for maximum sovereignty to be granted in the Security Council resolution. Whether it will pursue the goal of elections in a six-month time-frame with the vigor demanded by Sistani remains to be seen. And, of course, he has made plain that he will not only endorse it tearing up the Bremer constitution as soon as possible; he says its very legitimacy depends on it.

The effective basis of central authority after June 30 will remain the 138,000 U.S. troops and their 17,000 coalition partners, although the handover cedes control of the political space to the contending Iraqi factions. Having separated security control from political control, the U.S. has opened up a potential conflict between the two spheres as Iraqi politicians seek greater influence over the foreign troops within their sovereign boundaries. While the onset of sovereignty brings closer the process of reckoning among rival Iraqi contenders for power. But the past week's displays of ritual defiance of the U.S. even by the government it appointed suggest that the coin of the realm in the "new" Iraqi politics remains an Iraqi nationalism measured by the extent to which contenders for power can show themselves, in Iraqi eyes, to be standing up to the Americans.

Still, that will only last so long. The holding of elections will mark the true test for those who claim power in Iraq, which is why — as Sistani's statement makes clear — the new government will be quickly held to account for any real or perceived malingering. But the transfer of sovereignty will have put the government beyond U.S. or international reproach on that score. The timing and modalities of elections will have become strictly an Iraqi domestic affair. Of course, the U.S. will retain strong levers of influence — its military presence that will remain the basis of the new government's security, and the largest American embassy in the world which will control the purse strings of the lion's share of the reconstruction budget (which as things stand will come from Washington). But those are, at best, imperfect, even clumsy means of influencing events in Iraq, and using them as such runs the risk of an even more dangerous nationalist backlash.

Having formally ceded control over Iraq's political development to Iraqis, the U.S. military may be more inclined to allow the internal power struggles among rival Iraqi factions take their course, and confine its troops to the function of protecting the new government and the country's infrastructure. One problem, though, is that some Iraqi factions clearly see their own path to power as involving continued attacks on Coalition forces. They'll seek to paint the new government as U.S. puppets and continue attacking U.S. forces in the hope of provoking more Fallujahs and Najafs, large-scale security operations that inevitably turn much of the civilian population against the Americans and those perceived to be working with them. In the event of a breakdown between the Interim Government and Ayatollah Sistani and his supporters over the holding of elections, the resulting civil conflict would create an even more complex set of challenges for the Coalition forces.

Records of crystals, kept here for reference.
Entry 1:
Na3V3Cr2O12: relaxed, PBE+U.

Results
- space group = Ia-3d, No. 230
- E_tot (eV per formula unit) = -140.15
- M_tot (μB/atom) = 0.3000

```
Na3V3Cr2O12
1.0
-6.239 6.239 6.239
6.239 -6.239 6.239
6.239 6.239 -6.239
Na V Cr O
12 12 8 48
direct
0.125 0.250 0.375
0.125 0.375 0.750
0.250 0.375 0.125
0.250 0.875 0.625
0.375 0.125 0.250
0.375 0.750 0.125
0.625 0.250 0.875
0.625 0.875 0.750
0.750 0.125 0.375
0.750 0.625 0.875
0.875 0.625 0.250
0.875 0.750 0.625
0.125 0.750 0.875
0.125 0.875 0.250
0.250 0.125 0.875
0.250 0.625 0.375
0.375 0.250 0.625
0.375 0.625 0.750
0.625 0.375 0.250
0.625 0.750 0.375
0.750 0.375 0.625
0.750 0.875 0.125
0.875 0.125 0.750
0.875 0.250 0.125
0.000 0.000 0.000
0.000 0.000 0.500
0.000 0.500 0.000
0.000 0.500 0.500
0.500 0.000 0.000
0.500 0.000 0.500
0.500 0.500 0.000
0.500 0.500 0.500
0.008 0.197 0.111
0.008 0.311 0.897
0.085 0.697 0.689
0.085 0.889 0.397
0.103 0.611 0.415
0.103 0.992 0.689
0.111 0.008 0.197
0.111 0.603 0.915
0.189 0.197 0.585
0.189 0.492 0.603
0.197 0.111 0.008
0.197 0.585 0.189
0.303 0.311 0.915
0.303 0.492 0.389
0.311 0.897 0.008
0.311 0.915 0.303
0.389 0.303 0.492
0.389 0.585 0.897
0.397 0.085 0.889
0.397 0.811 0.508
0.415 0.103 0.611
0.415 0.811 0.803
0.492 0.389 0.303
0.492 0.603 0.189
0.508 0.397 0.811
0.508 0.611 0.697
0.585 0.189 0.197
0.585 0.897 0.389
0.603 0.189 0.492
0.603 0.915 0.111
0.611 0.415 0.103
0.611 0.697 0.508
0.689 0.085 0.697
0.689 0.103 0.992
0.697 0.508 0.611
0.697 0.689 0.085
0.803 0.415 0.811
0.803 0.889 0.992
0.811 0.508 0.397
0.811 0.803 0.415
0.889 0.397 0.085
0.889 0.992 0.803
0.897 0.008 0.311
0.897 0.389 0.585
0.915 0.111 0.603
0.915 0.303 0.311
0.992 0.689 0.103
0.992 0.803 0.889
```

Entry 2:
MnSiO3: relaxed, PBE+U.

Results
- space group = P-1, No. 2
- E_tot (eV per formula unit) = -39.65
- M_tot (μB/atom) = 1.0000

```
MnSiO3
1.0
6.819 0.000 0.000
-0.655 7.681 0.000
-1.811 -0.771 16.145
Mn Si O
14 14 42
direct
0.044 0.068 0.105
0.067 0.531 0.608
0.159 0.612 0.807
0.173 0.147 0.312
0.204 0.690 0.018
0.265 0.240 0.508
0.379 0.854 0.208
0.621 0.146 0.792
0.735 0.760 0.492
0.796 0.310 0.982
0.827 0.853 0.688
0.841 0.388 0.193
0.933 0.469 0.392
0.956 0.932 0.895
0.119 0.204 0.754
0.218 0.837 0.471
0.238 0.287 0.936
0.316 0.916 0.664
0.323 0.456 0.190
0.422 0.542 0.381
0.493 0.819 0.910
0.507 0.181 0.090
0.578 0.458 0.619
0.677 0.544 0.810
0.684 0.084 0.336
0.762 0.713 0.064
0.782 0.163 0.529
0.881 0.796 0.246
0.030 0.695 0.479
0.056 0.170 0.972
0.072 0.395 0.725
0.073 0.924 0.225
0.138 0.308 0.193
0.152 0.765 0.690
0.173 0.018 0.428
0.178 0.484 0.930
0.236 0.110 0.683
0.250 0.388 0.395
0.256 0.842 0.906
0.279 0.217 0.841
0.280 0.621 0.135
0.332 0.901 0.563
0.353 0.017 0.103
0.354 0.479 0.579
0.382 0.737 0.422
0.412 0.561 0.279
0.445 0.264 0.997
0.463 0.076 0.288
0.495 0.652 0.841
0.505 0.348 0.159
0.537 0.924 0.712
0.555 0.736 0.003
0.588 0.439 0.721
0.618 0.263 0.578
0.646 0.521 0.421
0.647 0.983 0.897
0.668 0.099 0.437
0.720 0.379 0.865
0.721 0.783 0.159
So much for the records of crystals.

It's conventional wisdom today that the June 30 hand-over is unlikely to change much on the security level — but on the political front it signifies an end to the U.S. role in choreographing the transition. That brings the hope of Iraqi democracy, but also the multiple perils that arise from intra-Iraqi political competition, both to the Iraqis themselves and to the American and allied soldiers there to provide for their security over the next two years. Close quote

  • Tony Karon
  • As U.S. relinquishes political control even while keeping its troops on the ground, Iraq's future looks increasingly unpredictable